........
1.
Entry from the Alexandria database: Ba2LaRh after structural relaxation (PBE).

a = 5.512 Å, b = 15.093 Å, c = 4.441 Å
α = 90.00°, β = 90.00°, γ = 90.00°
Space group Cmmm (No. 65)
Unique sites:
Ba 0.000 0.147 0.000 x4
La 0.000 0.500 0.500 x2
Rh 0.000 0.000 0.500 x2

Values from the calculation:
ΔH_f (0 K): -0.76 eV/f.u.
density: 4.64 g/cm³
total magnetic moment: 0.00 μB per formula unit
energy relative to the lowest polymorph listed for this composition: 143.3 meV per atom

2.
Entry from the Alexandria database: CuBCl4 after structural relaxation (PBE).

a = 6.572 Å, b = 6.572 Å, c = 8.081 Å
α = 90.00°, β = 90.00°, γ = 90.00°
Space group P4_2/mmc (No. 131)
Unique sites:
Cu 0.000 0.000 0.000 x2
B 0.000 0.500 0.000 x2
Cl 0.215 0.289 0.000 x8

Values from the calculation:
E_form (uncorrected): -0.22 eV/atom
density: 2.06 g/cm³
total magnetic moment: 0.00 μB per formula unit
energy relative to the lowest polymorph listed for this composition: 484.4 meV per atom

3.
Entry from the Alexandria database: PmLu2Hf after structural relaxation (PBE).

a = 4.820 Å, b = 4.820 Å, c = 4.820 Å
α = 90.00°, β = 90.00°, γ = 90.00°
Space group P4/mmm (No. 123)
Unique sites:
Pm 0.000 0.000 0.000 x1
Lu 0.000 0.500 0.500 x2
Hf 0.500 0.500 0.000 x1

Values from the calculation:
ΔH_f (0 K): 0.57 eV/f.u.
density: 9.99 g/cm³
total magnetic moment: 0.00 μB per formula unit
energy relative to the lowest polymorph listed for this composition: 0.0 meV per atom

* * * * *

No. 1
The following is a DFT calculation (GGA-PBE) of a relaxed Na2CF crystal.

Its energy above the most stable polymorph in this dataset is 0.00 kcal/mol of atoms. For the total energy, the calculation gives -3.491 eV/atom. The crystal system is tetragonal. The value obtained for the uncorrected formation energy is -0.058 eV/atom. As for the volume: 77.34 Å³/f.u.

The space group is I-42d (No. 122) and the conventional cell measures 6.2335, 6.2335 and 7.9616 Å, with angles of 90.00, 90.00 and 90.00 degrees. The asymmetric unit holds Na at (0.2024, 0.7500, 0.1250), C at (0.0000, 0.0000, 0.5000) and F at (0.0000, 0.0000, 0.0000).



No. 2
The following is a DFT calculation (GGA-PBE) of a relaxed Na2CF crystal.

Its energy above the most stable polymorph in this dataset is 2.04 kcal/mol of atoms. For the total energy, the calculation gives -3.403 eV/atom. The crystal system is cubic. The value obtained for the uncorrected formation energy is 0.031 eV/atom. As for the volume: 59.63 Å³/f.u.

The space group is Fm-3m (No. 225) and the conventional cell measures 6.2018, 6.2018 and 6.2018 Å, with angles of 90.00, 90.00 and 90.00 degrees. The asymmetric unit holds Na at (0.2500, 0.2500, 0.2500), C at (0.0000, 0.0000, 0.0000) and F at (0.0000, 0.0000, 0.5000).



No. 3
The following is a DFT calculation (GGA-PBE) of a relaxed NaC2F crystal.

Its energy above the most stable polymorph in this dataset is 0.00 kcal/mol of atoms. For the total energy, the calculation gives -5.775 eV/atom. The crystal system is tetragonal. The value obtained for the uncorrected formation energy is -0.365 eV/atom. As for the volume: 53.65 Å³/f.u.

The space group is I4_1/amd (No. 141, origin choice 2) and the conventional cell measures 2.7704, 2.7704 and 27.9581 Å, with angles of 90.00, 90.00 and 90.00 degrees. The asymmetric unit holds Na at (0.0000, 0.2500, 0.3750), C at (0.0000, 0.0000, 0.0000) and F at (0.0000, 0.2500, 0.8750).



No. 4
The following is a DFT calculation (GGA-PBE) of a relaxed NaCOF2 crystal.

Its energy above the most stable polymorph in this dataset is 35.41 kcal/mol of atoms. For the total energy, the calculation gives -2.953 eV/atom. The crystal system is tetragonal. The value obtained for the uncorrected formation energy is 0.896 eV/atom. As for the volume: 74.81 Å³/f.u.
........

Work out how many lines further above have the word "mmm" in them; a number is enough.

1